-- File --
+++
[1]
Entry from OMol25: a molecular structure, C14H22AsNNaO2Si2 (the ωB97M-V functional and the def2-TZVPD basis).

```
43
Properties=species:S:1:pos:R:3
Na 1.09 -0.95 0.38
O -0.95 0.26 3.08
C -0.12 -0.59 3.33
N 0.63 -1.33 2.44
C 1.45 -2.17 3.13
O 2.26 -2.95 2.65
C 1.23 -1.97 4.62
C 1.80 -2.58 5.72
C 1.36 -2.17 6.98
C 0.38 -1.18 7.10
C -0.19 -0.58 5.98
C 0.26 -1.00 4.74
H 2.56 -3.34 5.60
H 1.78 -2.62 7.87
H 0.05 -0.88 8.09
H -0.95 0.18 6.06
C 2.98 0.36 -3.69
Si 1.16 0.83 -3.59
C 0.23 -0.53 -4.49
C 0.98 2.37 -4.66
As 0.63 1.25 -1.39
Si -1.66 1.05 -1.54
C -2.31 -0.72 -1.62
C -2.42 1.94 -3.02
C -2.43 1.82 -0.02
H 3.30 0.26 -4.73
H 3.17 -0.59 -3.18
H 3.60 1.12 -3.20
H 0.62 -0.64 -5.51
H -0.84 -0.31 -4.57
H 0.33 -1.49 -3.97
H 1.31 2.18 -5.69
H 1.58 3.18 -4.25
H -0.06 2.71 -4.69
H -1.93 -1.25 -2.49
H -3.41 -0.72 -1.65
H -2.00 -1.28 -0.73
H -2.13 1.48 -3.97
H -2.09 2.98 -3.04
H -3.51 1.92 -2.95
H -2.10 1.32 0.91
H -3.52 1.76 -0.08
H -2.14 2.87 0.07
```

E: -101476.4973 eV
total charge: -1
molar mass: 390.4 g/mol

[2]
Entry from OMol25: a molecular structure, C14H22B2KO8 (the ωB97M-V functional and the def2-TZVPD basis).

```
47
Properties=species:S:1:pos:R:3
K 0.33 -1.59 0.15
B 1.94 -2.19 -2.07
H 2.41 -2.31 -3.04
H 2.11 -1.19 -1.69
H 0.88 -2.37 -2.08
H 2.42 -2.90 -1.41
B -0.02 -4.63 0.26
H -0.27 -3.95 -0.54
H -0.73 -5.44 0.24
H 0.96 -5.08 0.16
H -0.19 -4.04 1.15
C 2.73 1.70 3.15
C 2.49 2.92 3.89
C 1.20 3.76 3.50
O 1.15 4.94 3.71
C 0.20 3.14 2.69
C 0.46 1.90 2.12
C 1.83 1.26 2.26
O 2.26 0.27 1.49
O -0.51 1.43 1.40
O 3.21 3.39 4.87
H 3.71 1.25 3.17
H -0.69 3.72 2.52
O -2.10 -1.17 -0.86
C -3.23 -1.12 -0.32
O -4.37 -1.51 -0.95
C -5.56 -1.26 -0.24
C -4.97 -1.06 1.19
C -3.51 -0.61 1.05
H -6.26 -2.09 -0.35
H -6.07 -0.35 -0.56
H -5.04 -1.91 1.87
H -5.60 -0.29 1.66
H -2.86 -1.11 1.76
H -3.38 0.48 0.99
O 1.48 1.74 -5.15
C 1.61 1.53 -3.95
O 0.68 1.90 -2.97
C 1.18 1.73 -1.68
C 2.67 1.68 -1.91
C 2.86 1.03 -3.26
H 0.75 0.85 -1.20
H 0.88 2.58 -1.08
H 3.10 1.07 -1.12
H 3.22 2.61 -1.86
H 2.84 -0.06 -3.21
H 3.79 1.36 -3.74
```

spin multiplicity: 2
E: -48927.4693 eV
total charge: -2
molar mass: 379.0 g/mol

[3]
Entry from OMol25: 3 unconnected molecules or ions with the total composition C14H22BCl2N4O10 (the ωB97M-V functional and the def2-TZVPD basis).

```
53
Properties=species:S:1:pos:R:3
C 3.99 -2.99 1.27
C 2.72 -3.93 1.13
Cl 2.99 -5.73 1.45
C 1.43 -3.44 0.74
Cl 0.16 -4.77 0.61
C 1.12 -1.93 0.45
N 1.96 -0.76 0.39
C 1.38 0.51 0.06
C 2.18 1.87 -0.07
C 3.30 1.66 -1.23
O 2.56 1.27 -2.42
C 3.32 1.47 -3.61
O 3.77 2.59 -3.95
N 0.00 0.16 -0.13
C -0.96 1.23 -0.54
B -1.26 1.33 -2.14
O -2.66 1.26 -2.54
O -0.30 1.53 -3.19
C -0.25 -1.24 0.07
C -1.58 -2.09 -0.07
C -2.94 -1.29 -0.13
O -3.46 -0.70 0.85
O -3.60 -1.28 -1.40
H 4.98 -3.58 1.40
H 3.91 -2.18 2.07
H 4.11 -2.44 0.26
H 2.97 -0.73 0.54
H 1.54 2.79 -0.27
H 2.78 2.01 0.91
H 3.94 0.74 -0.94
H 3.96 2.57 -1.38
H 3.51 0.57 -4.29
+++
-- Job --
Please duplicate only the lines earlier on with the word "C14H22BCl2N4O10" in them.
-- Completed --
Entry from OMol25: 3 unconnected molecules or ions with the total composition C14H22BCl2N4O10 (the ωB97M-V functional and the def2-TZVPD basis).